The Central American squirrel monkey (Saimiri oerstedii), also known as the red-backed squirrel monkey, is a squirrel monkey species from the Pacific coast of Costa Rica and Panama. It is restricted to the northwestern tip of Panama near the border with Costa Rica, and the central and southern Pacific coast of Costa Rica, primarily in Manuel Antonio and Corcovado National Parks
With two subspecies called Saimiri oerstedii oersted and Saimiri oerstedii citrinellus that live in two geographically separated populations on the Pacific coasts of Colombia, Costa Rica and Panama, below 500 meters above sea level. Prefers secondary forest.
### Inserted here: molecular data
-- begin --
[1]
An isolated molecule of C4H3NO2 at a distorted geometry. Source: OMol25; level of theory: the ωB97M-V functional and the def2-TZVPD basis.

```
! RIJCOSX wB97M-V def2-TZVPD def2/J DEFGRID3
* xyz 0 1
N -1.3244 -2.1689 0.1273
C -1.0431 -1.0063 -0.1092
C -0.8251 0.2835 -0.2715
C 0.2867 0.9312 0.5161
C 1.5914 1.0071 -0.3323
O 0.9962 0.2101 1.3524
O 2.6572 0.7831 -0.6920
H -0.8782 -2.8766 -0.4527
H -1.4693 0.8658 -0.9228
H 0.0085 1.9710 0.7847
*
```

Properties
- energy relative to the best compared isomer or geometry (same formula, charge and spin) (kcal per mole) = 93.0
- orbital gap (eV) = 9.7
- lowest unoccupied orbital energy (eV) = 0.310
- max |F| (eV/Å) = 1.52

Here are the Löwdin charges for atoms 1 to 5, given in e: atom 1 (N): 0.1769, atom 2 (C): -0.1600, atom 3 (C): -0.0550, atom 4 (C): -0.4939, atom 5 (C): 0.0420



[2]
An isolated molecule of C4H3NO2 at a distorted geometry. Source: OMol25; level of theory: the ωB97M-V functional and the def2-TZVPD basis.

```
! RIJCOSX wB97M-V def2-TZVPD def2/J DEFGRID3
* xyz 0 1
O -1.9690 -0.4718 -0.1150
C -1.5237 0.4425 0.5215
C 0.0999 -0.7016 1.2681
N -0.0958 0.6606 0.5765
C 0.6509 0.5927 -0.6190
C 1.2417 -0.5946 -0.6589
O 0.8872 -1.3517 0.4520
H -2.1064 1.0597 1.2142
H 0.8561 1.4006 -1.3157
H 1.9592 -1.0366 -1.3237
*
```

Properties
- energy relative to the best compared isomer or geometry (same formula, charge and spin) (kcal per mole) = 91.6
- orbital gap (eV) = 10.3
- lowest unoccupied orbital energy (eV) = 0.525
- max |F| (eV/Å) = 2.15

Here are the Löwdin charges for atoms 1 to 5, given in e: atom 1 (O): 0.0921, atom 2 (C): -0.2986, atom 3 (C): 0.0346, atom 4 (N): -0.0410, atom 5 (C): -0.0837



[3]
An isolated molecule of C4H3NO2 at a distorted geometry. Source: OMol25; level of theory: the ωB97M-V functional and the def2-TZVPD basis.

```
! RIJCOSX wB97M-V def2-TZVPD def2/J DEFGRID3
* xyz 0 1
C -1.4029 -0.7104 0.1544
C 0.4608 -0.4700 -1.0429
C 0.9715 0.5953 -0.2210
C 0.1628 0.9297 0.9165
H 1.0142 -0.8787 -1.8689
H 2.0780 0.9326 -0.3778
H 0.6578 1.7096 1.5983
N -0.6596 -1.0347 -0.9333
O -2.2627 -1.4627 0.6699
O -1.0198 0.3893 1.1049
*
```

Properties
- energy relative to the best compared isomer or geometry (same formula, charge and spin) (kcal per mole) = 43.4
- orbital gap (eV) = 9.3
- lowest unoccupied orbital energy (eV) = -0.423
- SMILES string = O=c1nccco1
- max |F| (eV/Å) = 6.36

Here are the Löwdin charges for atoms 1 to 5, given in e: atom 1 (C): -0.3796, atom 2 (C): -0.1605, atom 3 (C): -0.0374, atom 4 (C): -0.1043, atom 5 (H): 0.1132



[4]
An isolated molecule of C4H3NO3 at a distorted geometry. Source: OMol25; level of theory: the ωB97M-V functional and the def2-TZVPD basis.

```
! RIJCOSX wB97M-V def2-TZVPD def2/J DEFGRID3
* xyz 0 1
C -1.6096 0.3825 0.0752
C -0.0694 0.2239 0.6216
C 0.8633 -0.4574 -0.5009
C 2.2551 0.1348 -0.4140
H -1.1775 -1.4057 -0.0635
H 0.3258 0.7553 1.4635
H 0.2409 -0.8384 -1.3649
N 3.1759 0.7889 0.0046
O -1.9002 -0.9000 -0.3530
O -2.2440 1.3965 -0.0968
-- stop --
The length of the body with the head reaches 26-33 cm, the tail 36-39 cm. It weighs between 0.5 and 1.1 kg. The female is smaller than the male. The face has a white mask, the ears and chest are whitish, in contrast to the muzzle, eyes and crown, which are black; the shoulders are brown to yellowish gray, the back is reddish brown to orange, and the legs are gray, with orange hands and legs; the belly is whitish to cream-colored; while the flanks and tail are yellowish; The thighs and base of the tail are yellowish brown to olive brown and the tip of the tail is blackish.
These are diurnal and arboreal animals that live in groups of 12 to 66 individuals, which move in an area of 0.2 square km in 5 km in a day. For this reason they are different than other squirrel monkeys because they live in smaller groups. Usually the other families of squirrel monkeys live in groups of almost 300 members in comparison. In Central American squirrel monkey families, mothers care for their children and sometimes help with the children of other mothers in the group.
The scarlet macaw, macaw macaw or flag macaw (Ara macao) is a species of psittaciform bird belonging to the psittacine family and the national bird of the Republic of Honduras. In addition, it is one of the nine existing species of the genus Ara, of which it is one of the largest, reaching 90.7 cm in length and 1 kg in weight.
It is distinguished by its brightly colored plumage, which is mainly scarlet red, complemented by some blue and yellow and green feathers that start from the wings to its tail.
Inserted here: calculated molecules >
********
Entry 1:
DFT (ωB97M-V/def2-TZVPD) results for an isolated molecule of C5H9NO4 at a distorted geometry.

As for the SMILES: CCC(=O)[C@](N)(O)C(=O)O. The electronic energy is -15009.8500 eV. Its energy relative to the best compared isomer or geometry (same formula, charge and spin) is 55.2 kcal per mole. As for the charge: 0. Its lowest unoccupied orbital energy is 0.4 eV. For the highest occupied orbital energy, the calculation gives -0.3638 Ha.

Structure (XYZ):
```
19
Properties=species:S:1:pos:R:3:forces:R:3
C 0.4469 -1.6979 -0.5351 -2.63 -0.09 -0.49
C -0.4078 -0.7244 0.3246 2.63 -0.92 1.05
C -0.9995 0.3035 -0.4602 -1.16 2.58 -2.10
O -2.1609 0.3172 -0.8016 0.17 0.32 0.09
C -0.0773 1.5199 -1.0053 -1.64 -2.07 -0.43
N 0.9922 1.8040 -0.0835 0.68 2.50 -0.45
O -0.8589 2.6599 -1.3285 0.63 -1.27 0.03
C 0.6532 0.6969 -2.2638 -0.24 0.61 -1.47
O 0.2898 0.2933 -3.3594 -0.76 1.27 2.45
O 1.8811 0.4171 -1.8961 1.80 -0.17 -0.70
H -0.2266 -2.0915 -1.3248 0.55 0.02 0.33
H 0.8615 -2.5035 0.0033 0.18 -0.89 0.97
H 1.2170 -1.1791 -0.9758 1.59 0.58 -0.94
H -1.2275 -1.3512 0.7002 0.44 0.67 1.00
H 0.3715 -0.1111 0.9370 -1.69 -1.76 0.19
H 1.3892 2.6862 -0.4936 -0.06 -0.87 0.76
H 0.7520 2.0730 0.8789 -0.51 -0.34 -0.65
H -1.7803 2.3631 -1.4659 0.37 -0.16 0.03
H 2.1261 0.8583 -1.0674 -0.34 -0.01 0.34
```
Forces are in eV/Å.

=====

Entry 2:
DFT (ωB97M-V/def2-TZVPD) results for a cluster of 2 separate species, C5H9NO4 in total at a distorted geometry.

As for the SMILES: NC(=O)C(=O)[C@H]1CCO1.O. The electronic energy is -15008.2359 eV. Its energy relative to the best compared isomer or geometry (same formula, charge and spin) is 92.4 kcal per mole. As for the charge: 0. Its lowest unoccupied orbital energy is -0.1 eV. For the highest occupied orbital energy, the calculation gives -0.3520 Ha.

Structure (XYZ):
```
19
Properties=species:S:1:pos:R:3:forces:R:3
N -1.7869 1.9491 -0.3056 -0.67 0.51 -0.20
C -0.8345 0.9557 -0.6818 2.25 2.20 0.11
O 0.0196 1.1897 -1.5451 -1.68 -0.63 1.61
C -0.4942 0.0083 0.4913 -0.51 -1.05 -0.07
O -1.0123 0.1341 1.5738 0.23 0.12 -0.66
C 0.5834 -0.9997 0.1789 0.01 0.03 -0.37
C 2.0322 -0.5083 0.3981 0.13 0.18 -0.13
C 2.1020 -1.6671 1.4020 0.20 -0.07 0.20
O 0.7189 -2.0072 1.1715 0.02 -0.07 0.11
H -1.4090 2.8733 -0.1221 0.05 -0.22 -0.48
H -2.5038 1.7339 0.3815 0.77 -0.42 0.40
H 0.3977 -1.4155 -0.8249 0.00 0.11 0.25
H 2.6785 -0.5855 -0.4809 -0.17 0.06 0.23
H 2.1157 0.4914 0.8383 -0.02 -0.24 -0.13
H 2.7699 -2.4936 1.1213 -0.15 0.19 0.08
H 2.2780 -1.3838 2.4489 -0.04 -0.10 -0.25
O -2.5296 0.1592 -1.9088 -2.15 2.84 2.42
H -2.8823 1.1588 -1.3425 1.76 -3.77 -3.14
H -2.2434 0.4073 -2.7939 -0.03 0.34 0.03
```
Forces are in eV/Å.

=====

Entry 3:
DFT (ωB97M-V/def2-TZVPD) results for a cluster of 2 separate species, C5H9NO4 in total at a distorted geometry.
********
It lives throughout a wide range of distribution that extends from the southeast of Mexico to the foothills jungles of the department of Cochabamba in central Bolivia, in tropical humid forests near large streams of water, at altitudes ranging from the level of the sea up to 1000 meters above sea level. Two subspecies are recognized: A. m. macao (South American red macaw) and A. m. cyanoptera (Central American red macaw or scarlet macaw).
It is a species with diurnal habits and very social, which can form flocks of several dozen members, which gather to look for food, groom themselves, protect each other and sleep together. The dominant members of the group are usually adult males of breeding age. They communicate primarily through vocalization, with loud, low-pitched squawks.
It is an endogamous species that begins to reproduce at four years of age, laying between one and four eggs each breeding season, which runs from November to May.
Its diet consists predominantly of seeds, although it also consumes fruits, nectar, insects or the flowers, leaves and stems of certain plants. In addition, they complement it with minerals that counteract some toxins present in their food, which are difficult for them to digest and can be toxic for humans.